

Responses from swampwalker

TT motor variable speed or digital tachometers not precise?
There are several threads that address this issue.  In general I would not rely to heavily on an inexpensive chinese digital product in terms of either accuracy or precision.   
Elrog 300B vs Takatsuki 300B tubes
+1 to charles and raquel.  Very well said, esp. raquel's carefully reasoned and extremely well written analysis.  Perhaps the best post of the year, IMO.   
Headphone question
+1 mapman  its been a long time since i owned them but my recollection is that if anything, the SR-60s are a little bit hot compared to the Grados.   
Dodgy - Audio dealers?
Two thoughts:If it sounds too good to be true, it probably is.Trust your gut. 
Forgive my ignorance (vintage amp input question)...
Tony- Disc 1 and 2 are phono inputs. As such, they will provide a much higher level of gain than you should need, which may or may not be a problem in your particular set-up, but they also will overload easily with a line level signal (particularl... 
Anyone hear Dynaudio subwoofers
Thanks, CT for thinking of me.  As of now, I am running active bi-amplified OB speakers w 2, 10" woofers on each baffle, driven my 200 wpc crown class 2 amp.  Haven't cheked it out w pipe organ, but no sub needed for any other use, IMO.  But I app... 
Can I hook up a headphone amp to my integrated?
Pre-amp line out. 
Did you hear Adele at the Grammy's?
+1 jextpro 
Did you hear Adele at the Grammy's?
There was definitely a technical problem. The sound cut out for a few seconds and then I could hear something in the background.  It was obvious she was distracted.   
Sellers Beware!!!
Just to be clear, I, too, have had successful sales to overseas buyers.  You have to use your head.  Not likely that someone is going to pay $$$ to ship big, heavy, fragile items around the world.  As others have said, there are lots of red flag i... 
Phono pre "Break-In" process? Necessary?
### Data records that have nothing to do with the text
-- begin --
Record 1
Computed X-ray diffraction stick pattern of CePaNiO6 for CuKα, from a cell relaxed with PBE+U.
Intensities are scaled so that the largest is 100.

Structure:
```
data_CePaNiO6
_space_group_name_H-M_alt 'P 3 1 2'
_space_group_IT_number 149
_space_group_name_Hall 'P 3 2'
_cell_length_a 5.3934
_cell_length_b 5.3934
_cell_length_c 4.8771
_cell_angle_alpha 90.00
_cell_angle_beta 90.00
_cell_angle_gamma 120.00
loop_
_atom_site_label
_atom_site_fract_x
_atom_site_fract_y
_atom_site_fract_z
Ce1 0.0000 0.0000 0.0000
Pa1 0.6667 0.3333 0.5000
Ni1 0.3333 0.6667 0.0000
O1 0.0124 0.3633 0.2365
```

The 8 most intense peaks (10° ≤ 2θ ≤ 80°), sorted by position:
d/Å, 2θ/deg, I (rel.)
4.671, 19.0, 17
3.373, 26.4, 100
2.697, 33.2, 36
2.106, 42.9, 28
1.809, 50.5, 35
1.660, 55.3, 27
1.557, 59.4, 12
1.252, 76.0, 11

Record 2
Computed X-ray diffraction stick pattern of CeNiS2O8 for CuKα, from a cell relaxed with PBE+U.
Intensities are scaled so that the largest is 100.

Structure:
```
data_CeNiS2O8
_space_group_name_H-M_alt 'P -3 m 1'
_space_group_IT_number 164
_space_group_name_Hall '-P 3 2"'
_cell_length_a 5.1783
_cell_length_b 5.1783
_cell_length_c 7.0837
_cell_angle_alpha 90.00
_cell_angle_beta 90.00
_cell_angle_gamma 120.00
loop_
_atom_site_label
_atom_site_fract_x
_atom_site_fract_y
_atom_site_fract_z
Ce1 0.0000 0.0000 0.0000
Ni1 0.0000 0.0000 0.5000
S1 0.3333 0.6667 0.2273
O1 0.1757 0.3513 0.2924
O2 0.3333 0.6667 0.0152
```

The 8 most intense peaks (10° ≤ 2θ ≤ 80°), sorted by position:
d/Å, 2θ/deg, I (rel.)
7.084, 12.5, 29
4.485, 19.8, 100
3.789, 23.5, 59
2.779, 32.2, 100
2.589, 34.6, 68
2.090, 43.3, 50
1.895, 48.0, 51
1.529, 60.6, 29

~~~~~

Structure and calculated X-ray diffraction stick pattern of Rb2PH6S3O3 (a cell relaxed with GGA-PBE; a wavelength of 1.5418 Å).

Structural model:
```
60
Lattice="9.2474 0.0000 0.0000 0.0000 13.0540 0.0000 -4.0235 0.0000 8.4336" Properties=species:S:1:pos:R:3 pbc="T T T"
Rb 0.2922 2.4824 1.5397
Rb -1.7195 4.0446 5.7565
Rb -0.4218 8.1937 7.5990
Rb 1.5900 11.3873 3.3822
Rb 3.6339 1.6667 5.0514
Rb 5.6457 4.8603 0.8346
Rb 6.9435 9.0094 2.6772
Rb 4.9317 10.5716 6.8940
P -1.4497 13.0535 5.2150
P 0.5621 6.5275 0.9982
P 6.6736 0.0005 3.2186
P 4.6619 6.5265 7.4354
H 0.0032 7.1673 4.0067
H -2.0086 12.4136 8.2235
H 1.0482 8.1789 4.6581
H 3.0599 11.4021 0.4413
H 2.9893 0.3963 1.3406
H 0.9776 6.1307 5.5574
H 0.3546 2.0690 7.0157
H 2.3663 4.4580 2.7989
H 4.0329 2.0443 0.1314
H 2.0212 4.4827 4.3482
H 3.1608 7.8313 2.1412
H 1.1490 11.7497 6.3581
H 4.0749 1.3043 2.0756
H 2.0632 5.2227 6.2924
H 3.2028 8.5713 4.0854
H 1.1910 11.0097 8.3022
H 2.8576 8.5960 5.6347
H 4.8693 10.9850 1.4179
H 4.2463 6.9233 2.8762
H 2.2346 12.6577 7.0930
H 2.1640 1.6519 7.9923
H 4.1758 4.8751 3.7755
H 7.2325 0.6404 0.2101
H 5.2207 5.8866 4.4269
S -2.7424 0.7286 6.6067
S -0.7306 5.7984 2.3899
S 1.0747 8.4657 1.3311
S -0.9371 11.1153 5.5480
S 0.1565 1.2286 4.9148
S 2.1682 5.2984 0.6980
S 3.0557 7.7556 7.7357
S 5.0674 11.8254 3.5188
S 6.1610 1.9387 2.8857
-- stop --
r_f:  Things have changed; the s/n ratio has gone down and the THD has gone up!  Oh, well, it still beats FOX News ;-) 
what kind of amp. are good for b&w 802d that will not cost my arm and legs?
The 802ds are very good speakers that will benefit greatly from a better amplifier than is in the Yamaha.  Ditto w speaker wires.   For wires and interconnects, stay away from Best Buy; that kind of stuff is their biggest mark-up item.  Best if yo... 
Amps which are Great, but either Unknown or Underpriced
Electra-print EL-34 SET.   
I'm very sorry for your loss, Michelle. If your husband had his system posted here on Audiogon, we can look at it to give you some idea about its value.  Or you can actually message individual members by looking them up and sending them the system... 
Sellers Beware!!!
"Paypal would be the best payment alternative for selling to someone overseas. That way the funds are in a escrow type account with paypal and there shouldn't be an issue."Read the horror stories from folks on this site and elsewhere about payp...